== Activity ==
Please copy the whole of the data further down character by character.

== Source ==
'''
Entry 1:
Entry from Alexandria via LeMat-Bulk: crystalline AcSc2Te4 at its relaxed geometry (GGA-PBE).

The structure in CIF format:
```
data_AcSc2Te4
_chemical_formula_sum 'Ac4 Sc8 Te16'
_symmetry_space_group_name_H-M 'C m c m'
_symmetry_Int_Tables_number 63
_symmetry_space_group_name_Hall '-C 2c 2'
_cell_length_a 4.352
_cell_length_b 13.832
_cell_length_c 14.574
_cell_angle_alpha 90.00
_cell_angle_beta 90.00
_cell_angle_gamma 90.00
loop_
_atom_site_label
_atom_site_type_symbol
_atom_site_fract_x
_atom_site_fract_y
_atom_site_fract_z
_atom_site_occupancy
Ac1 Ac 0.000 0.121 0.250 1
Sc1 Sc 0.000 0.373 0.062 1
Te1 Te 0.000 0.000 0.000 1
Te2 Te 0.000 0.267 0.612 1
Te3 Te 0.000 0.440 0.250 1
```

Values from the calculation:
Energy relative to the elements, uncorrected (eV per atom): -1.335

Entry 2:
Entry from Alexandria via LeMat-Bulk: crystalline AcScTl2Te4 at its relaxed geometry (GGA-PBE).

The structure in CIF format:
```
data_AcScTl2Te4
_chemical_formula_sum 'Ac1 Sc1 Tl2 Te4'
_symmetry_space_group_name_H-M 'P 1 2/m 1'
_symmetry_Int_Tables_number 10
_symmetry_space_group_name_Hall '-P 2y'
_cell_length_a 7.910
_cell_length_b 4.539
_cell_length_c 8.539
_cell_angle_alpha 90.00
_cell_angle_beta 107.57
_cell_angle_gamma 90.00
loop_
_atom_site_label
_atom_site_type_symbol
_atom_site_fract_x
_atom_site_fract_y
_atom_site_fract_z
_atom_site_occupancy
Ac1 Ac 0.000 0.000 0.000 1
Sc1 Sc 0.500 0.500 0.000 1
Tl1 Tl 0.000 0.500 0.500 1
Tl2 Tl 0.500 0.000 0.500 1
Te1 Te 0.269 0.500 0.221 1
Te2 Te 0.290 0.000 0.793 1
```

Values from the calculation:
Energy relative to the elements, uncorrected (eV per atom): -0.997

Entry 3:
Entry from Alexandria via LeMat-Bulk: crystalline AcTmScTe3 at its relaxed geometry (GGA-PBE).

The structure in CIF format:
```
data_AcTmScTe3
_chemical_formula_sum 'Ac2 Tm2 Sc2 Te6'
_symmetry_space_group_name_H-M 'P 1 21/m 1'
_symmetry_Int_Tables_number 11
_symmetry_space_group_name_Hall '-P 2yb'
_cell_length_a 8.876
_cell_length_b 4.425
_cell_length_c 10.116
_cell_angle_alpha 90.00
_cell_angle_beta 107.25
_cell_angle_gamma 90.00
loop_
_atom_site_label
_atom_site_type_symbol
_atom_site_fract_x
_atom_site_fract_y
_atom_site_fract_z
_atom_site_occupancy
Ac1 Ac 0.195 0.250 0.240 1
Tm1 Tm 0.319 0.750 0.836 1
Sc1 Sc 0.091 0.250 0.594 1
Te1 Te 0.098 0.250 0.884 1
Te2 Te 0.265 0.750 0.510 1
Te3 Te 0.440 0.750 0.158 1
```

Values from the calculation:
Energy relative to the elements, uncorrected (eV per atom): -1.221

Entry 4:
Entry from Alexandria via LeMat-Bulk: crystalline Ac2TmScTe6 at its relaxed geometry (GGA-PBE).

The structure in CIF format:
```
data_Ac2TmScTe6
_chemical_formula_sum 'Ac4 Tm2 Sc2 Te12'
_symmetry_space_group_name_H-M 'P 1 21/c 1'
_symmetry_Int_Tables_number 14
_symmetry_space_group_name_Hall '-P 2ybc'
_cell_length_a 7.470
_cell_length_b 8.356
_cell_length_c 13.331
_cell_angle_alpha 90.00
_cell_angle_beta 123.69
_cell_angle_gamma 90.00
loop_
_atom_site_label
_atom_site_type_symbol
_atom_site_fract_x
_atom_site_fract_y
_atom_site_fract_z
_atom_site_occupancy
Ac1 Ac 0.201 0.112 0.248 1
Tm1 Tm 0.500 0.000 0.000 1
Sc1 Sc 0.000 0.000 0.500 1
Te1 Te 0.105 0.186 0.941 1
Te2 Te 0.270 0.678 0.942 1
Te3 Te 0.373 0.026 0.745 1
```

Values from the calculation:
Energy relative to the elements, uncorrected (eV per atom): -1.462

Entry 5:
Entry from Alexandria via LeMat-Bulk: crystalline AcYScTe3 at its relaxed geometry (GGA-PBE).

The structure in CIF format:
```
data_AcYScTe3
_chemical_formula_sum 'Ac2 Y2 Sc2 Te6'
_symmetry_space_group_name_H-M 'P 1 21/m 1'
_symmetry_Int_Tables_number 11
_symmetry_space_group_name_Hall '-P 2yb'
_cell_length_a 9.012
_cell_length_b 4.433
_cell_length_c 10.112
_cell_angle_alpha 90.00
_cell_angle_beta 106.60
_cell_angle_gamma 90.00
loop_
_atom_site_label
_atom_site_type_symbol
_atom_site_fract_x
_atom_site_fract_y
_atom_site_fract_z
_atom_site_occupancy
Ac1 Ac 0.190 0.250 0.237 1
Y1 Y 0.324 0.750 0.839 1
Sc1 Sc 0.091 0.250 0.594 1
Te1 Te 0.099 0.250 0.883 1
Te2 Te 0.258 0.750 0.507 1
'''

== Here it is ==
Entry 1:
Entry from Alexandria via LeMat-Bulk: crystalline AcSc2Te4 at its relaxed geometry (GGA-PBE).

The structure in CIF format:
```
data_AcSc2Te4
_chemical_formula_sum 'Ac4 Sc8 Te16'
_symmetry_space_group_name_H-M 'C m c m'
_symmetry_Int_Tables_number 63
_symmetry_space_group_name_Hall '-C 2c 2'
_cell_length_a 4.352
_cell_length_b 13.832
_cell_length_c 14.574
_cell_angle_alpha 90.00
_cell_angle_beta 90.00
_cell_angle_gamma 90.00
loop_
_atom_site_label
_atom_site_type_symbol
_atom_site_fract_x
_atom_site_fract_y
_atom_site_fract_z
_atom_site_occupancy
Ac1 Ac 0.000 0.121 0.250 1
Sc1 Sc 0.000 0.373 0.062 1
Te1 Te 0.000 0.000 0.000 1
Te2 Te 0.000 0.267 0.612 1
Te3 Te 0.000 0.440 0.250 1
```

Values from the calculation:
Energy relative to the elements, uncorrected (eV per atom): -1.335

Entry 2:
Entry from Alexandria via LeMat-Bulk: crystalline AcScTl2Te4 at its relaxed geometry (GGA-PBE).

The structure in CIF format:
```
data_AcScTl2Te4
_chemical_formula_sum 'Ac1 Sc1 Tl2 Te4'
_symmetry_space_group_name_H-M 'P 1 2/m 1'
_symmetry_Int_Tables_number 10
_symmetry_space_group_name_Hall '-P 2y'
_cell_length_a 7.910
_cell_length_b 4.539
_cell_length_c 8.539
_cell_angle_alpha 90.00
_cell_angle_beta 107.57
_cell_angle_gamma 90.00
loop_
_atom_site_label
_atom_site_type_symbol
_atom_site_fract_x
_atom_site_fract_y
_atom_site_fract_z
_atom_site_occupancy
Ac1 Ac 0.000 0.000 0.000 1
Sc1 Sc 0.500 0.500 0.000 1
Tl1 Tl 0.000 0.500 0.500 1
Tl2 Tl 0.500 0.000 0.500 1
Te1 Te 0.269 0.500 0.221 1
Te2 Te 0.290 0.000 0.793 1
```

Values from the calculation:
Energy relative to the elements, uncorrected (eV per atom): -0.997

Entry 3:
Entry from Alexandria via LeMat-Bulk: crystalline AcTmScTe3 at its relaxed geometry (GGA-PBE).

The structure in CIF format:
```
data_AcTmScTe3
_chemical_formula_sum 'Ac2 Tm2 Sc2 Te6'
_symmetry_space_group_name_H-M 'P 1 21/m 1'
_symmetry_Int_Tables_number 11
_symmetry_space_group_name_Hall '-P 2yb'
_cell_length_a 8.876
_cell_length_b 4.425
_cell_length_c 10.116
_cell_angle_alpha 90.00
_cell_angle_beta 107.25
_cell_angle_gamma 90.00
loop_
_atom_site_label
_atom_site_type_symbol
_atom_site_fract_x
_atom_site_fract_y
_atom_site_fract_z
_atom_site_occupancy
Ac1 Ac 0.195 0.250 0.240 1
Tm1 Tm 0.319 0.750 0.836 1
Sc1 Sc 0.091 0.250 0.594 1
Te1 Te 0.098 0.250 0.884 1
Te2 Te 0.265 0.750 0.510 1
Te3 Te 0.440 0.750 0.158 1
```

Values from the calculation:
Energy relative to the elements, uncorrected (eV per atom): -1.221

Entry 4:
Entry from Alexandria via LeMat-Bulk: crystalline Ac2TmScTe6 at its relaxed geometry (GGA-PBE).

The structure in CIF format:
```
data_Ac2TmScTe6
_chemical_formula_sum 'Ac4 Tm2 Sc2 Te12'
_symmetry_space_group_name_H-M 'P 1 21/c 1'
_symmetry_Int_Tables_number 14
_symmetry_space_group_name_Hall '-P 2ybc'
_cell_length_a 7.470
_cell_length_b 8.356
_cell_length_c 13.331
_cell_angle_alpha 90.00
_cell_angle_beta 123.69
_cell_angle_gamma 90.00
loop_
_atom_site_label
_atom_site_type_symbol
_atom_site_fract_x
_atom_site_fract_y
_atom_site_fract_z
_atom_site_occupancy
Ac1 Ac 0.201 0.112 0.248 1
Tm1 Tm 0.500 0.000 0.000 1
Sc1 Sc 0.000 0.000 0.500 1
Te1 Te 0.105 0.186 0.941 1
Te2 Te 0.270 0.678 0.942 1
Te3 Te 0.373 0.026 0.745 1
```

Values from the calculation:
Energy relative to the elements, uncorrected (eV per atom): -1.462

Entry 5:
Entry from Alexandria via LeMat-Bulk: crystalline AcYScTe3 at its relaxed geometry (GGA-PBE).

The structure in CIF format:
```
data_AcYScTe3
_chemical_formula_sum 'Ac2 Y2 Sc2 Te6'
_symmetry_space_group_name_H-M 'P 1 21/m 1'
_symmetry_Int_Tables_number 11
_symmetry_space_group_name_Hall '-P 2yb'
_cell_length_a 9.012
_cell_length_b 4.433
_cell_length_c 10.112
_cell_angle_alpha 90.00
_cell_angle_beta 106.60
_cell_angle_gamma 90.00
loop_
_atom_site_label
_atom_site_type_symbol
_atom_site_fract_x
_atom_site_fract_y
_atom_site_fract_z
_atom_site_occupancy
Ac1 Ac 0.190 0.250 0.237 1
Y1 Y 0.324 0.750 0.839 1
Sc1 Sc 0.091 0.250 0.594 1
Te1 Te 0.099 0.250 0.883 1
Te2 Te 0.258 0.750 0.507 1